Core Software

P&C CoreConnect – Claims Management Software for MGAs & MGUs

Comprehensive Claims

MGAs, MGUs and smaller insurers can now manage claims operations efficiently without straining their budgets. An efficient claims solution ensures seamless integration, scales effectively with growth, and emphasizes accuracy. P&C CoreConnect Claims provides a versatile solution for various claim types, enabling our clients to expedite claims management and resolution with its rich functionality. It offers a tailored experience for smaller carriers, MGAs, MGUs, and policyholders alike, streamlining the process and enhancing satisfaction.

Achieve Unparalleled Configuration Agility

Leveraging market-leading technology enables you to make the most of your existing systems while driving crucial new business in a competitive market.

Streamline Claims Submission

AI-enabled claims tooling brings the ability to report FNOL and create new claims from a universal interface. Compatibility for any device available, optimizing customer experiences and streamlines the claims reporting process.

Personalized Experiences

Majesco P&C CoreConnect Claims technology provides a new level of exceptional service and expedited claims handling no matter the situation. This ensures complete customer satisfaction even in the most challenging times.

Powerful and Proven P&C Solutions

P&C CoreConnect Policy

Optimize operations processes with a feature-rich policy management system offering end-to-end lifecycle processing for property and casualty insurance lines to simplify the complex.

P&C CoreConnect Billing

Majesco P&C CoreConnect Billing provides an end-to-end, fully automated solution for the billing and payments cycle. Allow your business users to control billing rules without IT and vendor involvement and seamlessly manage carrier and agent commisions.

Drive Profitable Growth

It’s time to work smarter not harder. In order for organizations to enable new business you require a solution that enables collaboration, transparency, and accuracy without comprising integration of technology.

  • Rich document storage conveniently keeps record type with the claim and reduces the need for a separate document management product.
  • Powerful adjuster controls and exposure leads to flexible set up, processing and closing of each claim, reducing supervisory oversight.

Operational Effectiveness

No matter the volume of claims, proper automation for mundane tasks ensures a timely and effective resolution for policyholders.

  • Utilize unlimited reserving of exposures to multiple adjusters.
  • Ability to track all parties to a claim, including litigants, courts, witnesses, representatives, etc.
  • Ability to work with multiple policy systems for coverage verification, not just in Majesco P&C CoreConnect Claims.
  • Extensive correspondence templates and automation help all parties stay current on claim status.
  • Manage vendors and their partners with bulk payment support to reduce manual payment processing.

Expert Workflows

Benefit from worry-free claims processing with powerful capabilities.

  • Comprehensive notes capabilities including modernized tagging enabling seamless organization across the system, along with automated letters capabilities.
  • Multi-step reviews of checks, exposures and claims.
  • Manage catastrophes through linked claims by named perils and manage start and stop dates, geographic regions, and loss codes for each catastrophe.
  • Harness highly flexible adjuster management features to support limitations by users on lines of business, reserve limits, payment limits, and expense guard rails, maximum authority amounts by specific coverage, and optional tolerances to expedite closing a claim.

“We are impressed with the unwavering dedication to accelerating system upgrades, delivering results in half the time compared to typical implementations. This speed-to-market approach perfectly aligns with our commitment to providing responsive, efficient, and innovative solutions for our distribution, carrier and reinsurance partners.”

Jai Prakash, CIO, Embark


How much does Majesco P&C CoreConnect Claims cost?

Pricing for our solutions is tailored to meet your unique needs. For personalized details, please head to our “Request Info” page on the top right corner and our dedicated team will be delighted to assist you.

### The page is interrupted by records of crystals
<<<
# 1
This record from Alexandria via LeMat-Bulk describes an optimized crystal structure of LiCoRh. The functional is PBE-GGA.

Unit cell a=4.435 b=4.435 c=4.435 alpha=145.34 beta=130.07 gamma=62.21
Positions (direct):
Li: 0.000 0.000 0.000
Co: 0.328 0.328 0.000
Rh: 0.672 0.672 0.000

## Properties
D(E_F): 3.16 states/eV/cell
final energy: -16.23 eV for the cell shown

=====

# 2
This record from Alexandria via LeMat-Bulk describes an optimized crystal structure of LiCoRh. The functional is PBE-GGA.

Unit cell a=4.705 b=4.705 c=4.705 alpha=143.27 beta=143.27 gamma=52.93
Positions (direct):
Li: 0.000 0.000 0.000
Co: 0.336 0.336 0.000
Rh: 0.673 0.673 0.000

## Properties
D(E_F): 1.85 states/eV/cell
final energy: -16.21 eV for the cell shown

=====

# 3
This record from Alexandria via LeMat-Bulk describes an optimized crystal structure of LiCoRh2. The functional is PBE-GGA.

Unit cell a=4.459 b=4.459 c=4.693 alpha=98.63 beta=98.63 gamma=34.73
Positions (direct):
Li: 0.000 0.000 0.000
Co: 0.500 0.500 0.500
Rh: 0.243 0.243 0.748
Rh: 0.757 0.757 0.252

## Properties
D(E_F): 4.31 states/eV/cell
final energy: -23.75 eV for the cell shown

=====

# 4
This record from Alexandria via LeMat-Bulk describes an optimized crystal structure of LiCoRh2. The functional is PBE-GGA.

Unit cell a=2.750 b=2.750 c=6.818 alpha=90.00 beta=90.00 gamma=90.00
Positions (direct):
Li: 0.000 0.000 0.000
Co: 0.500 0.500 0.764
Rh: 0.000 0.000 0.524
Rh: 0.500 0.500 0.248

## Properties
D(E_F): 4.87 states/eV/cell
final energy: -23.28 eV for the cell shown

=====

# 5
This record from Alexandria via LeMat-Bulk describes an optimized crystal structure of LiCo2Rh. The functional is PBE-GGA.

Unit cell a=4.440 b=4.440 c=4.484 alpha=99.82 beta=99.82 gamma=33.98
Positions (direct):
Li: 0.000 0.000 0.000
Co: 0.495 0.495 0.489
Co: 0.759 0.759 0.258
Rh: 0.241 0.241 0.749

## Properties
D(E_F): 4.82 states/eV/cell
final energy: -23.17 eV for the cell shown

=====

# 6
This record from Alexandria via LeMat-Bulk describes an optimized crystal structure of LiCoRh. The functional is PBE-GGA.

Unit cell a=12.931 b=2.642 c=2.642 alpha=60.02 beta=90.00 gamma=90.00
Positions (direct):
Li: 0.167 0.000 0.000
Li: 0.833 0.000 0.000
Co: 0.339 0.336 0.336
Co: 0.661 0.336 0.336
Rh: 0.000 0.334 0.334
Rh: 0.500 0.002 0.002

## Properties
D(E_F): 8.10 states/eV/cell
final energy: -32.44 eV for the cell shown

=====

# 7
This record from Alexandria via LeMat-Bulk describes an optimized crystal structure of LiCoRh2. The functional is PBE-GGA.

Unit cell a=8.684 b=8.684 c=8.684 alpha=17.86 beta=17.86 gamma=17.86
Positions (direct):
Li: 0.000 0.000 0.000
Co: 0.500 0.500 0.500
Rh: 0.247 0.247 0.247
Rh: 0.753 0.753 0.753

## Properties
D(E_F): 4.64 states/eV/cell
final energy: -23.78 eV for the cell shown

=====

# 8
This record from Alexandria via LeMat-Bulk describes an optimized crystal structure of LiCo2Rh. The functional is PBE-GGA.

Unit cell a=2.895 b=2.895 c=5.689 alpha=90.00 beta=90.00 gamma=90.00
>>>

How can Majesco P&C CoreConnect Claims help my organization deal with a cumbersome claims system integration?

Majesco P&C CoreConnect Claims offers efficient claims processing to accommodate premium and policy growth through extensive workflows, powerful analytics, and rigorous fraud detection.

What is Majesco P&C CoreConnect Claims?

Majesco P&C CoreConnect Claims is a powerful software for all types of claims that enables our customers to manage and resolve claims faster through feature-rich functionality to deliver a personalized experience for carriers and policyholders.

<<<
Entry 1:
Here is a relaxed structure of Ho3Ga9Tc2 from the Alexandria database. Energies are from PBE.

Properties
**ρ**: 8.659 g cm⁻³
**Fermi-level density of states**: 0.593 states/eV per atom
**Formation enthalpy at 0 K**: -0.49 eV per atom

Cell: 8.1644 8.1644 8.1644 Å, 149.88 109.45 78.58°
Fractional positions:
Ho: 0.0000 0.0000 0.0000
Ho: 0.3010 0.3010 0.0000
Ho: 0.6990 0.6990 0.0000
Ga: 0.0171 0.6526 0.3646
Ga: 0.1512 0.8673 0.2839
Ga: 0.2880 0.6526 0.6354
Ga: 0.4165 0.1327 0.2839
Ga: 0.5000 0.0000 0.5000
Ga: 0.5835 0.8673 0.7161
Ga: 0.7120 0.3474 0.3646
Ga: 0.8488 0.1327 0.7161
Ga: 0.9829 0.3474 0.6354
Tc: 0.3252 0.5000 0.8252
Tc: 0.6748 0.5000 0.1748

Entry 2:
Here is a relaxed structure of Sr2CaPr from the Alexandria database. Energies are from PBE.

Properties
**ρ**: 3.301 g cm⁻³
**Offset from the most stable computed form**: 35 meV/atom
**Fermi-level density of states**: 1.389 states/eV per atom
**Formation enthalpy at 0 K**: 0.13 eV per atom

Cell: 6.3285 6.3285 6.3285 Å, 60.00 60.00 60.00°
Fractional positions:
Sr: 0.2500 0.2500 0.2500
Sr: 0.7500 0.7500 0.7500
Ca: 0.0000 0.0000 0.0000
Pr: 0.5000 0.5000 0.5000
>>>
-- End of the records of crystals --

The Future Starts With Majesco